-- Input --
┌──
1.
TiZnGa2 at its PBEsol-relaxed geometry. Source: Alexandria via LeMat-Bulk, functional meta-GGA SCAN.

Summary:
Space-group type = P4/mmm (123)
V = 14.6 Å³ per atom

Lattice parameters (Å, degrees): 3.903 3.903 3.826 90.00 90.00 90.00
Fractional coordinates of all 4 atoms:
Ti  0.000  0.000  0.000
Zn  0.500  0.500  0.000
Ga  0.000  0.500  0.500
Ga  0.500  0.000  0.500

2.
Al2FeNi at its PBEsol-relaxed geometry. Source: Alexandria via LeMat-Bulk, functional meta-GGA SCAN.

Summary:
Space-group type = P4/mmm (123)
V = 11.5 Å³ per atom

Lattice parameters (Å, degrees): 3.972 3.972 2.906 90.00 90.00 90.00
Fractional coordinates of all 4 atoms:
Al  0.000  0.500  0.000
Al  0.500  0.000  0.000
Fe  0.000  0.000  0.500
Ni  0.500  0.500  0.500

no.,formation energy (eV/atom),DFT total energy (eV per cell)
1,-0.47,-64.12
2,-0.61,-52.24

----------

[1]
4
Lattice="0.0000 3.0721 3.0721 3.0721 0.0000 3.0721 3.0721 3.0721 0.0000" Properties=species:S:1:pos:R:3 comment="LiGeAsOs, relaxed, DFT PBE" e_above_lowest_polymorph_mev_per_atom=0 pbc="T T T"
As 3.0721 3.0721 3.0721
Li 4.6081 4.6081 4.6081
Os 1.5360 1.5360 1.5360
Ge 0.0000 0.0000 0.0000

[2]
4
Lattice="-2.9494 -1.4066 2.9579 -0.4087 2.0790 3.8649 -3.5976 2.4038 0.8397" Properties=species:S:1:pos:R:3 comment="LiGeAsOs, relaxed, DFT PBE" e_above_lowest_polymorph_mev_per_atom=453 pbc="T T T"
As 0.0000 0.0000 0.0000
Li -5.2168 2.3071 5.7469
Ge -1.7389 0.7690 1.9156
Os -3.4779 1.5381 3.8313

[3]
4
Lattice="-0.8755 -1.4051 4.6194 -1.5050 3.2849 3.3202 -4.6053 -0.1507 1.6877" Properties=species:S:1:pos:R:3 comment="LuGe2As, relaxed, DFT PBE" energy_ev_per_atom=-4.770 pbc="T T T"
Lu -1.7464 0.4323 2.4068
Ge 0.0000 0.0000 0.0000
Ge -5.2393 1.2968 7.2205
As -3.4929 0.8646 4.8137

[4]
3
Lattice="-3.6058 -2.0019 2.2233 -2.7763 2.5785 2.7561 -4.3912 0.9499 -1.3295" Properties=species:S:1:pos:R:3 comment="LuGeAs, relaxed, DFT PBE" e_above_lowest_polymorph_mev_per_atom=0 pbc="T T T"
As 0.0000 0.0000 0.0000
Lu -8.0800 1.1449 2.7374
Ge -2.6933 0.3816 0.9125

[5]
8
Lattice="-3.2229 1.2870 0.2256 1.6117 -1.1629 2.8539 5.0377 12.2401 2.1425" Properties=species:S:1:pos:R:3 comment="Lu4GeAsN2, relaxed, DFT PBE" energy_ev_per_atom=-6.808 pbc="T T T"
Lu 2.6826 10.9033 2.9279
Lu 3.3214 8.0700 1.4126
Lu 1.7163 4.1701 0.7299
Lu -0.8676 2.2775 1.4180
N 3.8068 8.9027 3.5967
N 1.2312 2.6449 2.5013
As 0.0000 0.0000 0.0000
Ge 0.9075 6.5904 2.1730

[6]
8
Lattice="3.4777 0.0000 0.0000 -1.7389 3.0118 0.0000 0.0000 0.0000 13.4084" Properties=species:S:1:pos:R:3 comment="Lu4GeAsN2, relaxed, DFT PBE" energy_ev_per_atom=-6.808 pbc="T T T"
Ge 1.7389 1.0039 0.0000
N 0.0000 0.0000 3.4278
N 0.0000 0.0000 9.9806
Lu 0.0000 2.0079 11.2722
Lu 1.7389 1.0039 4.7247
Lu 1.7389 1.0039 8.6837
Lu 0.0000 2.0079 2.1362
As 0.0000 2.0079 6.7042

[7]
4
Lattice="0.0000 3.2230 3.2230 3.2230 0.0000 3.2230 3.2230 3.2230 0.0000" Properties=species:S:1:pos:R:3 comment="MgTcGeAs, relaxed, DFT PBE" e_above_lowest_polymorph_mev_per_atom=329 pbc="T T T"
As 0.0000 0.0000 0.0000
Tc 3.2230 3.2230 3.2230
Ge 1.6115 1.6115 1.6115
Mg 4.8345 4.8345 4.8345

[8]
4
Lattice="0.0000 3.1744 3.1744 3.1744 0.0000 3.1744 3.1744 3.1744 0.0000" Properties=species:S:1:pos:R:3 comment="MgTcGeAs, relaxed, DFT PBE" e_above_lowest_polymorph_mev_per_atom=0 pbc="T T T"
Mg 4.7616 4.7616 4.7616
Ge 0.0000 0.0000 0.0000
As 3.1744 3.1744 3.1744
Tc 1.5872 1.5872 1.5872

[9]
12
Lattice="6.7030 0.0000 0.0000 0.0000 3.3536 0.0000 0.0000 0.0000 8.4705" Properties=species:S:1:pos:R:3 comment="GeMoAs, relaxed, DFT PBE" e_above_lowest_polymorph_mev_per_atom=0 pbc="T T T"
Ge 5.8875 0.8384 7.7497
Ge 2.5360 0.8384 4.9560
Ge 4.1670 2.5152 3.5144
Ge 0.8155 2.5152 0.7208
Mo 2.5138 0.8384 2.1073
Mo 0.8377 2.5152 6.3425
Mo 5.8653 0.8384 2.1279
Mo 4.1892 2.5152 6.3631
As 4.2246 2.5152 0.7851
As 0.8731 2.5152 3.4501
As 5.8299 0.8384 5.0203
As 2.4784 0.8384 7.6854

[10]
5
└──

-- Work order --
Now filter the material above: keep the lines with the word "Mg".

-- Solution --
Mg 4.8345 4.8345 4.8345
Mg 4.7616 4.7616 4.7616